┌──
## Ac3GePd8Pb2 (PBE)

Data for a geometry-optimized Ac3GePd8Pb2 structure.

Magnetic moment   0.00 μB per cell
Crystal system   trigonal
Energy of formation from the pure elements   -598 meV per atom

a b c (Å): 5.731 5.731 10.876
angles (deg): 90.00 90.00 120.00
Fractional positions:
Pd (0.667, 0.333, 0.146)
Pd (0.163, 0.327, 0.306)
Ac (0.667, 0.333, 0.419)
Pd (0.837, 0.163, 0.694)
Ac (0.333, 0.667, 0.581)
Pd (0.673, 0.837, 0.306)
Pb (0.333, 0.667, 0.107)
Pb (0.667, 0.333, 0.893)
Pd (0.163, 0.837, 0.306)
Pd (0.333, 0.667, 0.854)
Pd (0.327, 0.163, 0.694)
Ge (0.000, 0.000, 0.500)
Ac (0.000, 0.000, 0.000)
Pd (0.837, 0.673, 0.694)
└──

Next, reproduce only the lines earlier on with the word "Ac3GePd8Pb2" in them.

## Ac3GePd8Pb2 (PBE)
Data for a geometry-optimized Ac3GePd8Pb2 structure.